De dimarts a divendres, de 10.00h a 14.00h i de 16.00h a 21.00h
Dissabte i diumenge, de 16.00h a 21.00h
Why produce a work of art when it’s so beautiful to dream about it?
(Il Decameron, Pier Paolo Pasolini)
Dreaming up a film. Setting out the fragments of an upcoming, unfinished film in space. On paper, sketching out the characters of a fable that traces the visionary promises of language, from Braille to telepathy, from paroptic vision to the invention of the theremin in the 1920s: reading with your hands, seeing with your skin, touching without contact... there you have it, a bundle of unfulfilled utopias that make up the potential archive of a possible cinema.
Dreaming up a film. Imagine it separated from its original body, divorced from its inherent technology and customary devices. Cinema Paper, spoken cinema, cinema by other means, expanded cinema, virtual cinema.
For many years, Érik Bullot has been questioning the transformations of an unstable and constantly metamorphosing art form, from optical toys to the radical change that has meant the definitive establishment of the digital. What is cinema today? If it is no longer an imprint of light captured on a photochemical medium, if its uses and functions have definitively mutated, if its images have burst out across a sea of screens, from phones to galleries, is it still what we have known throughout the twentieth century? Disregarding (and moving past) its repeatedly proclaimed death, the artist and theorist reflects on the developments, limits and specificities associated with cinema – technological, social, aesthetic, institutional. To what extent will it be able to negotiate the terms of such a metamorphosis without denying its identity asks the author of Le Film et son double [Film and its Double]. To what extent is it able to be diffracted, like the light in a kaleidoscope?
In this exhibition at the Filmoteca, Bullot updates the hypothesis of a living and dematerialised cinema by means of a poetic essay and a rigorously documented investigation of some of the obsessions and chimeras that cinema has outgrown. The proposal includes two previously unseen installations alongside works by Ramón y Cajal, August Strindberg, Vicente Huidobro, Roland Sabatier and Jakob Mohr, as well as different formats, spanning collage, the moving image, photography and illustration, plus a series of programmes that will accompany the exhibition in the form of screenings, discussions, readings and a performative conference.
The event will also mark the launch of the second volume of our Apunts de cinema [Notes on Cinema] series of publications, an essay in twenty-four fragments that combines a speculative exercise with scholarly research.
“By closing the eyes, the mental cinema is projected onto the screen of our eyelids. The film will be imaginary, or it will not be.”
(Érik Bullot)
Marina Vinyes Albes (curator)
Érik Bullot is a filmmaker and theorist. His films have been screened at numerous festivals and museums, such as the Jeu de Paume (Paris), La Enana Marrón (Madrid), the Biennale de l’Image en Mouvement (Geneva), the CCCB, the New Museum (New York), the Museo de Arte Moderno in Buenos Aires and the Cineteca Nacional de Chile, among others, as well as forming part of several collections: Centre Pompidou (Paris), Departmental Contemporary Art Collection (Seine Saint-Denis) and Xcèntric (Barcelona). He has recently exhibited at MUCEM (Marseille) and ISELEP (Brussels).
He has published several books on film, including: Sayat Nova (Yellow Now, 2007), Renversements 1 & 2. Notes sur le cinéma (Paris Expérimental, 2009 and 2013), Sortir du cinéma (Mamco, 2013 ), Le Film et son double (Mamco, 2017), Roussel et le cinéma (Nouvelles Éditions Place, 2020), L’Attrait des ventriloques (Yellow Now, 2022) and, in Spanish, El cine es una invención post-mortem (Shangrila, 2015), Fotogenias y paradojas (UNTREF, 2018), Salir del cine (Shangrila, 2020) and Cine de la posible (Metales pesados, 2021).
Currently, a professor at the National School of Fine Arts in Bourges (France), he has taught film and photography at a variety of art schools: Marseille, Le Fresnoy, Arles and Avignon.
Cinema imaginari. Conferència performativa
Exhibition Opening Event.
Th, 28 September | 19.00h | Filmoteca de Catalunya
Master class. Pre-registration:
Fr, 29 September 2023 | 18.00h | Arxiu Xcèntric (CCCB)
Guided tour of the exhibition with Érik Bullot
*Master class registration includes a place on the guided tour.
Fr, 29September 2023 | 19.30h | Filmoteca de Catalunya
********
DFT (wB97M-V/def2-TZVPD) results for a structure of composition C43H33AuF9N3O2PSe.

## Properties
Molar mass   1101.639 g/mol
Largest force on an atom   0.0139 Eh/bohr
Calculated total energy   -156472.3580 eV
Orbital gap (spin up / spin down)   5.3 / 5.0 eV
LUMO level (spin up / spin down)   -5.27 / -5.57 eV

Structure (ORCA input):
```
! wB97M-V def2-TZVPD RIJCOSX def2/J DEFGRID3
* xyz 1 1
Au -0.796 0.347 0.274
O 3.287 -2.776 2.388
C 2.405 -2.715 3.402
C 2.855 -3.148 4.652
C 2.010 -3.134 5.739
C 0.689 -2.693 5.617
C 0.249 -2.243 4.395
C 1.092 -2.233 3.271
C 0.562 -1.644 2.027
O -0.581 -1.101 2.045
N 1.360 -1.693 0.944
N 0.845 -0.982 -0.079
C 1.373 -0.993 -1.246
C 0.751 -0.176 -2.292
C 1.345 -0.009 -3.535
C 0.722 0.798 -4.471
C -0.479 1.409 -4.144
C -1.016 1.187 -2.889
N -0.420 0.412 -1.983
H 2.838 -2.446 1.582
H 3.875 -3.497 4.733
H 2.379 -3.469 6.700
H 0.023 -2.711 6.468
H -0.762 -1.881 4.269
H 2.249 -1.603 -1.447
H 2.287 -0.495 -3.750
H 1.168 0.947 -5.445
H -0.996 2.048 -4.845
H -1.960 1.629 -2.597
F -2.160 3.919 7.341
C -2.510 2.816 6.658
F -2.316 1.762 7.461
F -3.830 2.905 6.416
C -1.732 2.698 5.372
C -0.822 1.668 5.187
C -0.136 1.570 3.987
C -0.357 2.501 2.975
C -1.266 3.535 3.173
C -1.947 3.638 4.374
P 0.446 2.202 1.375
C 2.201 2.057 1.787
C 2.722 2.801 2.848
C 4.057 2.682 3.192
C 4.872 1.809 2.485
C 4.367 1.068 1.430
C 3.031 1.193 1.083
C 6.335 1.688 2.837
F 6.571 2.042 4.107
F 6.776 0.434 2.670
F 7.082 2.485 2.052
C 0.269 3.748 0.435
C 1.254 4.730 0.437
C 1.100 5.882 -0.323
C -0.040 6.051 -1.090
C -1.034 5.080 -1.096
C -0.871 3.932 -0.346
C -0.231 7.287 -1.932
F -0.507 6.961 -3.208
F -1.262 8.023 -1.483
F 0.854 8.067 -1.938
H -0.652 0.943 5.970
H 0.565 0.755 3.847
H -1.441 4.270 2.396
H -2.647 4.448 4.534
H 2.085 3.468 3.415
H 4.460 3.256 4.014
H 5.009 0.383 0.893
H 2.641 0.612 0.262
H 2.152 4.607 1.027
H 1.869 6.641 -0.319
H -1.924 5.220 -1.697
H -1.638 3.166 -0.360
C -7.979 2.095 -1.958
C -6.679 1.851 -1.252
C -6.037 2.875 -0.557
C -4.871 2.657 0.150
C -4.240 3.807 0.879
C -4.315 1.347 0.150
Se -2.945 0.935 1.331
C -4.920 0.307 -0.608
C -4.371 -1.089 -0.715
C -6.098 0.590 -1.278
H -8.301 3.131 -1.868
H -8.762 1.458 -1.544
H -7.892 1.852 -3.018
H -6.473 3.866 -0.561
H -4.922 4.654 0.910
H -3.325 4.137 0.388
H -3.971 3.532 1.899
H -3.353 -1.175 -0.348
H -4.397 -1.410 -1.757
H -4.985 -1.787 -0.144
H -6.581 -0.201 -1.840
*
```

Results of the Löwdin charge analysis, in e, for atoms 1 through 6: 0.760 0.062 -0.261 -0.004 -0.062 -0.079

***

DFT (wB97M-V/def2-TZVPD) results for a structure of composition C43H34Cl3N5O6SV.

## Properties
Molar mass   906.144 g/mol
Expectation value of S²   3.783
Largest force on an atom   0.0289 Eh/bohr
Calculated total energy   -138971.2864 eV
Orbital gap (spin up / spin down)   6.5 / 7.4 eV
LUMO level (spin up / spin down)   -0.08 / -0.46 eV

Structure (ORCA input):
```
! wB97M-V def2-TZVPD RIJCOSX def2/J DEFGRID3
* xyz 0 4
V -0.062 -0.158 0.013
O -1.493 -2.282 3.727
C -0.376 -3.033 3.929
********
So much for the records of molecules:
Cinema inacabat: José Antonio Maenza, Maya Deren i Serguéi Paradjànov.
Screenings with commentary.
Tu, 24 October 2023 | 18.00h | Filmoteca de Catalunya
Illustrated conference, part of the Aula de Cinema film classes.
Collaboration with Intangible Festival
Wed, 25 October 2023 | 17.00h | Filmoteca de Catalunya
Retrat del cineasta en ventríloc.
Érik Bullot reflects on his artistic practice and writing in relation to the publication of Apunts de cinema, published by the Filmoteca de Catalunya.
*This session marks the end of Aula Xcèntric 2023: Escriure el cinema II. Free entry for those enrolled on the course.
Wed, 29 November 2023 | 18.30h | Filmoteca de Catalunya
Estrena a Catalunya de la pel·lícula Langue des oiseaux (Érik Bullot, 2021).
With the filmmaker in attendance.
Wed, 29 November 2023 | 20.30h | Filmoteca de Catalunya
Produced by
Filmoteca de Catalunya
Departament de Cultura
Marina Vinyes Albes
Programation, Exhibition and Learning Programmes Chief
Marina Vinyes Albes
Production manager
Núria Expósito
Esther Vilà
Assistant Production manager
Júlia Pérez i Gonell
Design Management
Jaume Coscollar (Taller Pontí)
Installation and Exhibition Production
Grop Exposicions i Museografia
Cinema paper Impression
Tinta invisible
Translation and correction
Joaquim Sala Sanahuja
CNAP (Centre national des arts plastiques, France)
Colección legado Ramón y Cajal. Instituto Ramón y Cajal (CSIC)
Prinzhorn Collection, University Hospital Heidelberg
Fundación Telefónica
Museo Reina Sofia
National Library of Sweden
Oliver Peyroux
Philippe Baudouin
In collaboration with: